Page updated 28th April 2020
Dear Parents / Students of Lite Regal Education and Lite Regal International School
I would like to thank all parents and students for their cooperation and continuous support in dealing with the COVID-19 pandemic together.
Following my last letter on 2nd April 2020, I would like to congratulate all students and teachers on the successful completion of our A Level & GCSE Easter Revision courses, which was conducted online and remotely. Many of our students who took this Easter Revision were abroad and gave us excellent feedback on the usefulness of attending this.
We are continuing to monitor guidelines from UK Government and WHO to ensure the safety of all our students and staff. Our programmes and courses are currently running continuing to run online under the guidance of the UK Government. We accept there are many challenges to be faced in this and thank all students for their patience in any issues and problems faced.
All our Internships – the most popular being Medical Internships – are currently still postponed until further notice following the instructions of our UK doctors / clinics / companies who are in charge of these Internships. We anticipate the Internships including the Medical Internship will be up and running in the early Summer and by June and will update all parents and students concerned.
Whilst we are still expecting all summer courses to run as normal, we are constantly monitoring the UK Government guidelines and will post updates to all those concerned accordingly.
Since our last report on 2nd April 2020 the situation in UK has improved greatly and whilst we have a long way to go, we continue to make progress. The crisis of the COVID -19 situation seems to be easy off. I understand there is much uncertainty for all of us however please be assured that our staff is continuing to do our best and working tirelessly to ensure the best outcome for all our students.
Whilst all summer programmes and Internships and any upcoming year round programmes are still on course to run and we hope the situation will allow this, we understand if you would like to postpone your course for later date in Summer 2020 or even till next year 2021 at this stage. In view of this and despite our Terms & Conditions we have allowed all students to delay and postpone their course either for a later Summer Course date in 2020 or till next year 2021 with no administration charges or postponement fees or deductions of any kind incurred. Please income us of your intentions by email.
What comes next are data records, not part of the text:
┌──
# 1
Theoretical XRD peak list of AcCeIr4 for Cu Kα (λ = 1.5418 Å), from a DFT-relaxed cell (PBE, Alexandria).
Lines closer than 0.1° are merged.

Most intense lines, 2θ from 10° to 90°, sorted by position:
hkl	two_theta	I_rel
1 1 1	19.8	8
2 2 0	32.7	25
3 1 1	38.5	100
2 2 2	40.3	42
4 0 0	46.9	6
4 2 2	58.3	10
5 1 1	62.2	33
4 4 0	68.5	29
5 3 3	81.4	12
6 2 2	82.5	17

Structure:
```
data_AcCeIr4
_cell_length_a 7.753
_cell_length_b 7.753
_cell_length_c 7.753
_cell_angle_alpha 90.00
_cell_angle_beta 90.00
_cell_angle_gamma 90.00
_space_group_name_H-M_alt 'F -4 3 m'
_space_group_IT_number 216
_space_group_name_Hall 'F -4 2 3'
loop_
_atom_site_label
_atom_site_type_symbol
_atom_site_fract_x
_atom_site_fract_y
_atom_site_fract_z
Ac1 Ac 0.000 0.000 0.000
Ce1 Ce 0.250 0.250 0.750
Ir1 Ir 0.125 0.125 0.375
```

# 2
Theoretical XRD peak list of Cs6MgTe4 for Cu Kα (λ = 1.5418 Å), from a DFT-relaxed cell (PBE, Alexandria).
Lines closer than 0.1° are merged.

Most intense lines, 2θ from 10° to 90°, sorted by position:
hkl	two_theta	I_rel
2 1 1	24.8	70
2 0 2	25.8	100
3 0 1	27.7	44
2 1 2	29.9	22
2 2 0	30.1	92
2 0 3	33.7	22
3 2 2	43.0	15
5 0 1	45.1	19
3 2 3	48.4	38
5 2 1	56.7	17

Structure:
```
data_Cs6MgTe4
_cell_length_a 11.8792
_cell_length_b 11.8792
_cell_length_c 9.3286
_cell_angle_alpha 90.00
_cell_angle_beta 90.00
_cell_angle_gamma 120.00
_space_group_name_H-M_alt 'P 63 m c'
_space_group_IT_number 186
_space_group_name_Hall 'P 6c -2c'
loop_
_atom_site_label
_atom_site_type_symbol
_atom_site_fract_x
_atom_site_fract_y
_atom_site_fract_z
Cs1 Cs 0.0560 0.5280 0.0000
Cs2 Cs 0.1472 0.2944 0.3205
Mg1 Mg 0.3333 0.6667 0.6120
Te1 Te 0.1994 0.3989 0.7090
Te2 Te 0.3333 0.6667 0.3015
```

# 3
Theoretical XRD peak list of MgHg5 for Cu Kα (λ = 1.5418 Å), from a DFT-relaxed cell (PBE, Alexandria).
Lines closer than 0.1° are merged.

Most intense lines, 2θ from 10° to 90°, sorted by position:
hkl	two_theta	I_rel
1 1 -1	27.6	10
1 1 1	29.1	7
2 0 2	32.3	38
1 1 -2	34.5	100
4 0 -2	36.7	17
0 2 0	49.5	16
5 1 -3	56.3	8
2 2 2	60.4	13
4 2 -2	63.2	7
1 3 -2	83.0	9

Structure:
```
data_MgHg5
_cell_length_a 11.269
_cell_length_b 3.682
_cell_length_c 7.376
_cell_angle_alpha 90.00
_cell_angle_beta 101.78
_cell_angle_gamma 90.00
_space_group_name_H-M_alt 'C 1 m 1'
_space_group_IT_number 8
loop_
_space_group_symop_operation_xyz
'x,y,z'
'x,-y,z'
'x+1/2,y+1/2,z'
'x+1/2,-y+1/2,z'
loop_
_atom_site_label
_atom_site_type_symbol
_atom_site_fract_x
_atom_site_fract_y
_atom_site_fract_z
Mg1 Mg 0.000 0.000 0.000
Hg1 Hg 0.088 0.500 0.746
Hg2 Hg 0.155 0.500 0.274
Hg3 Hg 0.289 0.000 0.623
Hg4 Hg 0.304 0.000 0.052
Hg5 Hg 0.452 0.500 0.409
```

# 4
Theoretical XRD peak list of Mn2CdAg for Cu Kα (λ = 1.5418 Å), from a DFT-relaxed cell (PBE, Alexandria).
Lines closer than 0.1° are merged.

Most intense lines, 2θ from 10° to 90°, sorted by position:
hkl	two_theta	I_rel
1 0 1	31.5	28
1 0 2	39.4	100
0 0 3	40.3	10
1 1 0	40.8	52
1 1 3	58.7	12
2 0 0	59.0	16
1 1 4	70.4	11
2 1 2	73.3	29
1 0 5	77.4	9
2 0 4	84.7	6
└──
I once again would like to thank all of you for your patience, support and for understanding the situation to find solutions to this global challenge.
I wish you and your families all the best and will continue keep you updated with further news as needed.
Stay Safe.
Yours sincerely,
Mr. Milan Lebloch
Attached: crystal structures >
- - -
Entry 1:
For Li2CrFeO4, a PBE+U-relaxed structure gives the theoretical XRD peak list in this record (Cu Kα, 1.54184 Å).
Neutral-atom scattering factors, no anomalous dispersion.

Atomic structure:
```
Li2CrFeO4
1.0
-2.963 2.975 4.221
2.963 -2.975 4.221
2.963 2.975 -4.221
Li Cr Fe O
4 2 2 8
direct
0.000 0.000 0.000
0.500 0.000 0.000
0.500 0.000 0.500
0.500 0.500 0.500
0.000 0.500 0.500
0.500 0.500 0.000
0.000 0.000 0.500
0.000 0.500 0.000
0.229 0.742 0.487
0.243 0.258 0.515
0.243 0.728 0.985
0.245 0.258 0.987
0.755 0.742 0.013
0.757 0.272 0.015
0.757 0.742 0.485
0.771 0.258 0.513
```

Top 12 peaks for 10 to 90 degrees two-theta, sorted by position:
d [Å]  I/Imax
4.857  100
2.543  14
2.533  29
2.431  9
2.425  8
2.110  28
2.099  55
1.931  12
1.616  10
1.488  37
1.481  7
1.422  7



Entry 2:
For Li9Mn2Co5O16, a PBE+U-relaxed structure gives the theoretical XRD peak list in this record (Cu Kα, 1.54184 Å).
Neutral-atom scattering factors, no anomalous dispersion.

Atomic structure:
```
Li9Mn2Co5O16
1.0
5.092 0.000 0.000
-1.628 7.518 0.000
-1.553 -1.605 7.474
Li Mn Co O
9 2 5 16
direct
0.000 0.000 0.000
0.000 0.497 0.500
0.002 0.374 0.128
0.003 0.877 0.617
0.008 0.750 0.255
0.504 0.000 0.502
0.997 0.246 0.744
0.998 0.120 0.382
0.998 0.621 0.874
0.495 0.122 0.871
0.499 0.750 0.746
0.494 0.499 0.002
0.498 0.879 0.137
0.500 0.246 0.250
0.505 0.631 0.378
0.509 0.360 0.617
0.263 0.624 0.128
0.268 0.248 0.990
0.270 0.006 0.241
0.271 0.129 0.646
0.274 0.743 0.516
0.276 0.881 0.870
0.279 0.371 0.372
0.280 0.510 0.751
0.715 0.747 0.988
0.718 0.127 0.115
0.719 0.483 0.246
0.723 0.991 0.762
0.725 0.361 0.876
0.731 0.632 0.631
0.738 0.860 0.364
0.746 0.257 0.508
```

Top 12 peaks for 10 to 90 degrees two-theta, sorted by position:
d [Å]  I/Imax
4.829  100
2.526  15
2.488  14
2.469  12
2.106  29
2.069  27
2.052  26
1.909  9
1.478  8
1.474  15
1.466  14
1.447  7

=====

Calculated X-ray diffraction stick pattern
Compound: NiS3Cl
Radiation: Cu Kα (weighted mean of Kα1 and Kα2)
Structure: a DFT-relaxed cell (GGA-PBE, Alexandria)
No peak broadening, texture or thermal motion is included.

Cell: 6.226 3.707 10.076 Å, 90.00 92.71 90.00°
Fractional coordinates of all 10 atoms:
Ni 0.183 0.000 0.225
Ni 0.817 0.500 0.775
S 0.218 0.395 0.398
S 0.326 0.529 0.111
S 0.451 0.672 0.298
S 0.549 0.172 0.702
S 0.674 0.029 0.889
S 0.782 0.895 0.602
Cl 0.156 0.552 0.841
Cl 0.844 0.052 0.159

Main lines, by angle (10 to 80 degrees two-theta):
two_theta  I (rel.)  h k l
16.4  100  1 0 -1
17.1  63  1 0 1
- - -
Letter From Principal 28th April 2020
Page updated 2nd April 2020
Dear Parents / Students of Lite Regal Education and Lite Regal International School
I wish you all ours students in London and elsewhere in the world a Happy Easter. I realise that many of our students have returned overseas to be with their families over Easter and whilst this pandemic is still in our midst. My thoughts are with the families and students of our College to be all safe and well. As spring arrives in the UK, flowers and cherry blossom are in bloom it is the season of regeneration and birth. However it is with much sadness I feel on how much our lives have changed in the last few months and the many lives lost and hard working families losing jobs and much needed income due to this pandemic. I am great believer in humanity and that we will find solutions to our problems and will the world governments and all of us working tighter will overcome the COVID-19 situation. Until then I urge you to remain safe and follow your own government guidelines.
Given the pandemic we are working remotely at the recommendation of the Government, however you may still contact us on the normal phone line – 0207 460 5107 or email : and At this time we hope you do understand that emails and calls may take longer to reply to and be shorter than normal and we do apologise for this.
We would like to assure you that we are doing our best to manage the situation that the COVID-19 epidemic has brought to us all. As a school we carry a duty of care and support for all our students and parents. We have been established since 1993 I as the founder of this School and Principal throughout those years have I am never faced a similar situation as this. As a school we carry a duty of care and support for all our students and parents. We will face and deal with any problem in the next few months head on and work with all parents and students in finding solutions to “problems”. We will continue to educate and inspire you in the best way we can.
As you may be aware the coronavirus situation is fluid and information changes on a daily basis. We are taking advise continually from the Department of Education and the UK Government as well as WHO.
Please look at the relevant sections below that will concern you.
Attached: crystal structures =
<<<
Computed XRD peak list
Compound: Hg3As
Radiation: λ = 1.5418 Å (Cu Kα)
Structure: DFT lattice parameters and positions (GGA-PBE)
Intensities are scaled so that the largest is 100.

Peak list (10 most intense, 10° ≤ 2θ ≤ 90°, low angle first)
d 3.912, 2θ = 22.7°, I = 9
d 2.631, 2θ = 34.1°, I = 26
d 2.593, 2θ = 34.6°, I = 100
d 2.107, 2θ = 42.9°, I = 28
d 1.645, 2θ = 55.9°, I = 26
d 1.511, 2θ = 61.3°, I = 20
d 1.490, 2θ = 62.3°, I = 9
d 1.296, 2θ = 73.0°, I = 12
d 1.292, 2θ = 73.3°, I = 23
d 1.116, 2θ = 87.4°, I = 8

Atomic structure:
```
Hg3As
1.0
-2.1070 2.1070 5.2616
2.1070 -2.1070 5.2616
2.1070 2.1070 -5.2616
Hg As
3 1
Direct
0.0000 0.0000 0.0000
0.2500 0.7500 0.5000
0.7500 0.2500 0.5000
0.5000 0.5000 0.0000
```

***

Computed XRD peak list
Compound: EuMgZn2
Radiation: λ = 1.5418 Å (Cu Kα)
Structure: DFT lattice parameters and positions (GGA-PBE)
Intensities are scaled so that the largest is 100.

Peak list (10 most intense, 10° ≤ 2θ ≤ 90°, low angle first)
d 4.069, 2θ = 21.8°, I = 36
d 2.492, 2θ = 36.0°, I = 100
d 2.125, 2θ = 42.5°, I = 20
d 1.762, 2θ = 51.9°, I = 17
d 1.617, 2θ = 56.9°, I = 8
d 1.439, 2θ = 64.8°, I = 34
d 1.356, 2θ = 69.3°, I = 6
d 1.246, 2θ = 76.4°, I = 11
d 1.191, 2θ = 80.6°, I = 6
d 1.114, 2θ = 87.5°, I = 15

Atomic structure:
```
EuMgZn2
1.0
0.0000 3.5242 3.5242
3.5242 0.0000 3.5242
3.5242 3.5242 0.0000
Eu Mg Zn
1 1 2
Direct
0.0000 0.0000 0.0000
0.5000 0.5000 0.5000
0.2500 0.2500 0.2500
0.7500 0.7500 0.7500
```

***

Computed XRD peak list
Compound: CsMg6Fe
Radiation: λ = 1.5418 Å (Cu Kα)
Structure: DFT lattice parameters and positions (GGA-PBE)
Intensities are scaled so that the largest is 100.

Peak list (10 most intense, 10° ≤ 2θ ≤ 90°, low angle first)
d 5.759, 2θ = 15.4°, I = 59
d 4.920, 2θ = 18.0°, I = 34
d 4.323, 2θ = 20.5°, I = 33
d 4.281, 2θ = 20.7°, I = 100
d 3.741, 2θ = 23.8°, I = 48
d 3.331, 2θ = 26.8°, I = 46
d 3.229, 2θ = 27.6°, I = 93
d 3.017, 2θ = 29.6°, I = 39
d 2.485, 2θ = 36.1°, I = 60
d 2.460, 2θ = 36.5°, I = 36

Atomic structure:
```
CsMg6Fe
1.0
4.9199 0.0000 0.0000
0.0000 3.0370 9.0515
0.0000 -3.0370 9.0515
Cs Mg Fe
1 6 1
Direct
0.0000 0.0000 0.0000
0.0000 0.4811 0.9580
0.0000 0.9580 0.4811
0.5000 0.0887 0.5775
0.5000 0.1869 0.1869
0.5000 0.5775 0.0887
0.5000 0.6549 0.6549
0.0000 0.3354 0.3354
```

***

Computed XRD peak list
Compound: Pm2SiPd
Radiation: λ = 1.5418 Å (Cu Kα)
Structure: DFT lattice parameters and positions (GGA-PBE)
Intensities are scaled so that the largest is 100.

Peak list (10 most intense, 10° ≤ 2θ ≤ 90°, low angle first)
d 4.182, 2θ = 21.2°, I = 8
d 3.622, 2θ = 24.6°, I = 16
d 2.561, 2θ = 35.0°, I = 100
d 2.184, 2θ = 41.3°, I = 4
d 2.091, 2θ = 43.3°, I = 5
d 1.811, 2θ = 50.4°, I = 18
d 1.620, 2θ = 56.8°, I = 7
d 1.479, 2θ = 62.8°, I = 36
d 1.281, 2θ = 74.0°, I = 11
d 1.145, 2θ = 84.6°, I = 16

Atomic structure:
```
Pm2SiPd
1.0
0.0000 3.6219 3.6219
3.6219 0.0000 3.6219
3.6219 3.6219 0.0000
Pm Si Pd
2 1 1
Direct
0.2500 0.2500 0.2500
0.7500 0.7500 0.7500
0.0000 0.0000 0.0000
>>>
Kind Regards,
Mr. Milan Lebloch